Job >
Duplicate all of the notes further down verbatim.

Given >
=====
[1]
A relaxed structure of Ho5Ru4Pb. Source: the Alexandria database, functional PBE.

Cell and atoms, written as POSCAR:
```
Ho5Ru4Pb
1.0
-1.7993 1.3243 2.5692
2.1217 -1.4501 2.2333
10.5347 14.9271 -0.3162
Ho Ru Pb
5 4 1
Direct
0.5000 0.5000 0.1331 Ho
0.5000 0.5000 0.3167 Ho
0.5000 0.5000 0.5000 Ho
0.5000 0.5000 0.6833 Ho
0.5000 0.5000 0.8669 Ho
0.0000 0.0000 0.2202 Ru
0.0000 0.0000 0.4075 Ru
0.0000 0.0000 0.5925 Ru
0.0000 0.0000 0.7798 Ru
0.0000 0.0000 0.0000 Pb
```

Values from the calculation:
Electronic total energy (eV/f.u.): -67.8
DOS(E_F) (states/eV per atom): 0.6126
Crystal system: tetragonal
Formation energy from the elements (eV per atom): -0.411
Symmetry: P4/mmm (123)

---

[2]
A relaxed structure of Ho3RuPb2. Source: the Alexandria database, functional PBE.

Cell and atoms, written as POSCAR:
```
Ho3RuPb2
1.0
4.3214 0.0000 0.0000
0.0000 11.7213 0.0000
0.0000 0.0000 12.6716
Ho Ru Pb
12 4 8
Direct
0.2500 0.3697 0.0561 Ho
0.7500 0.6303 0.9439 Ho
0.7500 0.8697 0.4439 Ho
0.2500 0.1303 0.5561 Ho
0.2500 0.7183 0.2534 Ho
0.7500 0.2817 0.7466 Ho
0.7500 0.2183 0.2466 Ho
0.2500 0.7817 0.7534 Ho
0.2500 0.4623 0.3813 Ho
0.7500 0.5377 0.6187 Ho
0.7500 0.9623 0.1187 Ho
0.2500 0.0377 0.8813 Ho
0.2500 0.1335 0.1261 Ru
0.7500 0.8665 0.8739 Ru
0.7500 0.6335 0.3739 Ru
0.2500 0.3665 0.6261 Ru
0.2500 0.6968 0.5151 Pb
0.7500 0.3032 0.4849 Pb
0.7500 0.1968 0.9849 Pb
0.2500 0.8032 0.0151 Pb
0.2500 0.0090 0.3152 Pb
0.7500 0.9910 0.6848 Pb
0.7500 0.5090 0.1848 Pb
0.2500 0.4910 0.8152 Pb
```

Values from the calculation:
Electronic total energy (eV/f.u.): -33.0
DOS(E_F) (states/eV per atom): 0.6944
Crystal system: orthorhombic
Formation energy from the elements (eV per atom): -0.434
Symmetry: Pnma (62)

---

[3]
A relaxed structure of Ho2RuPb. Source: the Alexandria database, functional PBE.

Cell and atoms, written as POSCAR:
```
Ho2RuPb
1.0
-1.0415 -4.8707 -1.0796
3.7836 -3.3952 -0.3619
0.5621 -3.5807 3.5828
Pb Ru Ho
1 1 2
Direct
0.0000 0.0000 0.0000 Pb
0.5000 0.5000 0.5000 Ru
0.2500 0.2500 0.2500 Ho
0.7500 0.7500 0.7500 Ho
```

Values from the calculation:
Electronic total energy (eV/f.u.): -23.3
DOS(E_F) (states/eV per atom): 0.5619
Crystal system: cubic
ΔE to the lowest computed polymorph (meV/atom): 207.8
Formation energy from the elements (eV per atom): -0.278
Symmetry: Fm-3m (225)

---

[4]
A relaxed structure of Ho7Ru2Pb2. Source: the Alexandria database, functional PBE.

Cell and atoms, written as POSCAR:
```
Ho7Ru2Pb2
1.0
6.7292 -0.0027 -0.7013
0.0032 7.2574 0.0032
-1.1192 -0.0024 6.6724
Ho Ru Pb
7 2 2
Direct
0.0000 0.2412 0.5000 Ho
0.5000 0.7588 0.0000 Ho
0.0000 0.7588 0.5000 Ho
0.5000 0.2412 0.0000 Ho
0.0000 0.0000 0.0000 Ho
0.5000 0.7735 0.5000 Ho
0.5000 0.2265 0.5000 Ho
0.7132 0.0000 0.2868 Ru
0.2868 0.0000 0.7132 Ru
0.8096 0.5000 0.8096 Pb
0.1904 0.5000 0.1904 Pb
```

Values from the calculation:
Electronic total energy (eV/f.u.): -61.1
DOS(E_F) (states/eV per atom): 0.8945
Crystal system: orthorhombic
Formation energy from the elements (eV per atom): -0.277
Symmetry: Cmmm (65)

---

[5]
A relaxed structure of Ho4RuPb. Source: the Alexandria database, functional PBE.

Cell and atoms, written as POSCAR:
```
Ho4RuPb
1.0
-3.7339 3.5878 -3.2738
-4.8241 -5.8197 4.1358
3.7162 5.2873 4.7823
Ho Ru Pb
8 2 2
Direct
0.0557 0.2064 0.8587 Ho
0.7860 0.7233 0.6663 Ho
0.3030 0.6523 0.8587 Ho
0.3803 0.9431 0.6663 Ho
0.6197 0.0569 0.3337 Ho
0.6970 0.3477 0.1413 Ho
0.2140 0.2767 0.3337 Ho
0.9443 0.7936 0.1413 Ho
0.2502 0.0002 0.0005 Ru
0.7498 0.9998 0.9995 Ru
0.3794 0.6294 0.2587 Pb
0.6206 0.3706 0.7413 Pb
```

Values from the calculation:
Electronic total energy (eV/f.u.): -33.8
DOS(E_F) (states/eV per atom): 0.9238
Crystal system: monoclinic
Formation energy from the elements (eV per atom): -0.416
Symmetry: C2/c (15)

---

[6]
A relaxed structure of Ho8Ru3Pb2. Source: the Alexandria database, functional PBE.

Cell and atoms, written as POSCAR:
```
Ho8Ru3Pb2
1.0
-0.4678 2.7445 -4.0373
-0.3346 -8.0432 -5.4289
-7.2750 3.8295 3.4462
Ho Ru Pb
=====

Completed >
[1]
A relaxed structure of Ho5Ru4Pb. Source: the Alexandria database, functional PBE.

Cell and atoms, written as POSCAR:
```
Ho5Ru4Pb
1.0
-1.7993 1.3243 2.5692
2.1217 -1.4501 2.2333
10.5347 14.9271 -0.3162
Ho Ru Pb
5 4 1
Direct
0.5000 0.5000 0.1331 Ho
0.5000 0.5000 0.3167 Ho
0.5000 0.5000 0.5000 Ho
0.5000 0.5000 0.6833 Ho
0.5000 0.5000 0.8669 Ho
0.0000 0.0000 0.2202 Ru
0.0000 0.0000 0.4075 Ru
0.0000 0.0000 0.5925 Ru
0.0000 0.0000 0.7798 Ru
0.0000 0.0000 0.0000 Pb
```

Values from the calculation:
Electronic total energy (eV/f.u.): -67.8
DOS(E_F) (states/eV per atom): 0.6126
Crystal system: tetragonal
Formation energy from the elements (eV per atom): -0.411
Symmetry: P4/mmm (123)

---

[2]
A relaxed structure of Ho3RuPb2. Source: the Alexandria database, functional PBE.

Cell and atoms, written as POSCAR:
```
Ho3RuPb2
1.0
4.3214 0.0000 0.0000
0.0000 11.7213 0.0000
0.0000 0.0000 12.6716
Ho Ru Pb
12 4 8
Direct
0.2500 0.3697 0.0561 Ho
0.7500 0.6303 0.9439 Ho
0.7500 0.8697 0.4439 Ho
0.2500 0.1303 0.5561 Ho
0.2500 0.7183 0.2534 Ho
0.7500 0.2817 0.7466 Ho
0.7500 0.2183 0.2466 Ho
0.2500 0.7817 0.7534 Ho
0.2500 0.4623 0.3813 Ho
0.7500 0.5377 0.6187 Ho
0.7500 0.9623 0.1187 Ho
0.2500 0.0377 0.8813 Ho
0.2500 0.1335 0.1261 Ru
0.7500 0.8665 0.8739 Ru
0.7500 0.6335 0.3739 Ru
0.2500 0.3665 0.6261 Ru
0.2500 0.6968 0.5151 Pb
0.7500 0.3032 0.4849 Pb
0.7500 0.1968 0.9849 Pb
0.2500 0.8032 0.0151 Pb
0.2500 0.0090 0.3152 Pb
0.7500 0.9910 0.6848 Pb
0.7500 0.5090 0.1848 Pb
0.2500 0.4910 0.8152 Pb
```

Values from the calculation:
Electronic total energy (eV/f.u.): -33.0
DOS(E_F) (states/eV per atom): 0.6944
Crystal system: orthorhombic
Formation energy from the elements (eV per atom): -0.434
Symmetry: Pnma (62)

---

[3]
A relaxed structure of Ho2RuPb. Source: the Alexandria database, functional PBE.

Cell and atoms, written as POSCAR:
```
Ho2RuPb
1.0
-1.0415 -4.8707 -1.0796
3.7836 -3.3952 -0.3619
0.5621 -3.5807 3.5828
Pb Ru Ho
1 1 2
Direct
0.0000 0.0000 0.0000 Pb
0.5000 0.5000 0.5000 Ru
0.2500 0.2500 0.2500 Ho
0.7500 0.7500 0.7500 Ho
```

Values from the calculation:
Electronic total energy (eV/f.u.): -23.3
DOS(E_F) (states/eV per atom): 0.5619
Crystal system: cubic
ΔE to the lowest computed polymorph (meV/atom): 207.8
Formation energy from the elements (eV per atom): -0.278
Symmetry: Fm-3m (225)

---

[4]
A relaxed structure of Ho7Ru2Pb2. Source: the Alexandria database, functional PBE.

Cell and atoms, written as POSCAR:
```
Ho7Ru2Pb2
1.0
6.7292 -0.0027 -0.7013
0.0032 7.2574 0.0032
-1.1192 -0.0024 6.6724
Ho Ru Pb
7 2 2
Direct
0.0000 0.2412 0.5000 Ho
0.5000 0.7588 0.0000 Ho
0.0000 0.7588 0.5000 Ho
0.5000 0.2412 0.0000 Ho
0.0000 0.0000 0.0000 Ho
0.5000 0.7735 0.5000 Ho
0.5000 0.2265 0.5000 Ho
0.7132 0.0000 0.2868 Ru
0.2868 0.0000 0.7132 Ru
0.8096 0.5000 0.8096 Pb
0.1904 0.5000 0.1904 Pb
```

Values from the calculation:
Electronic total energy (eV/f.u.): -61.1
DOS(E_F) (states/eV per atom): 0.8945
Crystal system: orthorhombic
Formation energy from the elements (eV per atom): -0.277
Symmetry: Cmmm (65)

---

[5]
A relaxed structure of Ho4RuPb. Source: the Alexandria database, functional PBE.

Cell and atoms, written as POSCAR:
```
Ho4RuPb
1.0
-3.7339 3.5878 -3.2738
-4.8241 -5.8197 4.1358
3.7162 5.2873 4.7823
Ho Ru Pb
8 2 2
Direct
0.0557 0.2064 0.8587 Ho
0.7860 0.7233 0.6663 Ho
0.3030 0.6523 0.8587 Ho
0.3803 0.9431 0.6663 Ho
0.6197 0.0569 0.3337 Ho
0.6970 0.3477 0.1413 Ho
0.2140 0.2767 0.3337 Ho
0.9443 0.7936 0.1413 Ho
0.2502 0.0002 0.0005 Ru
0.7498 0.9998 0.9995 Ru
0.3794 0.6294 0.2587 Pb
0.6206 0.3706 0.7413 Pb
```

Values from the calculation:
Electronic total energy (eV/f.u.): -33.8
DOS(E_F) (states/eV per atom): 0.9238
Crystal system: monoclinic
Formation energy from the elements (eV per atom): -0.416
Symmetry: C2/c (15)

---

[6]
A relaxed structure of Ho8Ru3Pb2. Source: the Alexandria database, functional PBE.

Cell and atoms, written as POSCAR:
```
Ho8Ru3Pb2
1.0
-0.4678 2.7445 -4.0373
-0.3346 -8.0432 -5.4289
-7.2750 3.8295 3.4462
Ho Ru Pb